There is nothing quite like the feeling of bouncing out of the door with a spring in your step; full of motivation, enthusiasm and confidence as you are armed with a box of new ideas, a new perspective and a new found love for your subject.
Yes! That is the feeling of having participated in subject specific, effective professional development. Now you are actually really looking forward to your double A level biology lesson next Tuesday period three and four and have a much deeper, evidence based understanding of that part of the specification that you really weren't looking forward to teaching because it wasn't your forte. Take me for example: I knew about genomics and bioinformatics but probably not enough to teach it confidently. Now with subject specific CPD I can fill in the gaps and really inspire those scientists of the future.
You have the knowledge, the confidence and that renewed enthusiasm to teach a great sequence of lessons
Thanks to the subject specific, effective CPD you've just participated in, you now have a comprehensive bank of quality assured resources that link directly to the specification that you can actually use straight away with your pupils. Great! Even better, you've actually had time to practice the required practicals with the support of other experts and try things out properly. You have the knowledge, the confidence and that renewed enthusiasm to teach a great sequence of lessons and inject some awe and wonder into that part of the specification that you were dreading. You can even draw on the anecdotes from the researcher who shared their work with you in one of the cutting edge science workshops and magpie those ideas from the colleagues you met, sat with and chatted about your approaches and ideas.
It is the complete opposite feeling to that hour of your life that you may never get back after whole school, generic, non-subject specific ‘CPD’ with everyone and their uncle crammed in the school hall for a mind numbing eternity. You know the one, where token post its and poster paper line the hall walls and you are left none the wiser about how to inspire your year 10 scientists with the new GCSE practicals next Wednesday or your year 8 mathematicians who you have a double lesson with tomorrow morning.
So hurrah for the recent publication by the Department for Education of the Standard for teachers’ professional development, which provide clarity and guidance for school leaders, teachers and providers of CPD. Often the first thing to be cut from the budget and something that teachers are increasingly having to fight the case for and justify why they want to attend subject specific CPD, has finally got a standard that sets the bar and sets it high.
The Standard is a timely and powerful driver that comes at a time when teachers and support staff need the support and back up more than ever to influence their leaders in supporting the absolute need for effective and subject specific CPD. The Standard is a powerhouse of guidance that will drive not only development, recruitment, retention and well being of staff, but ultimately will impact positively on pupil outcomes and their life choices if leaders commit to investing in CPD and teachers take responsibility for their own CPD.
This is gold plated guidance that will help to plan and also judge the quality of CPDL
**Records of crystals, as found in the file**
<<<
# 1
Entry from the Materials Project: a geometry-optimized PrCo12B6 structure (PBE).

```
data_PrCo12B6
_chemical_formula_sum 'Pr3 Co36 B18'
_cell_length_a 9.4293
_cell_length_b 9.4293
_cell_length_c 7.4552
_cell_angle_alpha 90.00
_cell_angle_beta 90.00
_cell_angle_gamma 120.00
_symmetry_space_group_name_H-M 'R -3 m'
_symmetry_Int_Tables_number 166
_symmetry_space_group_name_Hall '-R 3 2"'
loop_
_atom_site_label
_atom_site_fract_x
_atom_site_fract_y
_atom_site_fract_z
Pr1 0.0000 0.0000 0.0000
Co1 0.0000 0.3670 0.5000
Co2 0.0908 0.1815 0.3680
B1 0.0389 0.5195 0.2877
```

Results
The value obtained for the volume is 10.1 Å³/atom.

***

# 2
Entry from the Materials Project: a geometry-optimized Pr3Br structure (PBE).

```
data_Pr3Br
_chemical_formula_sum 'Pr6 Br2'
_cell_length_a 7.2164
_cell_length_b 7.2164
_cell_length_c 5.5978
_cell_angle_alpha 90.00
_cell_angle_beta 90.00
_cell_angle_gamma 120.00
_symmetry_space_group_name_H-M 'P 63/m m c'
_symmetry_Int_Tables_number 194
_symmetry_space_group_name_Hall '-P 6c 2c'
loop_
_atom_site_label
_atom_site_fract_x
_atom_site_fract_y
_atom_site_fract_z
Pr1 0.1695 0.3390 0.2500
Br1 0.3333 0.6667 0.7500
```

Results
The value obtained for the volume is 31.6 Å³/atom. The relative energy among the computed polymorphs is 0.4 kJ/mol of atoms. Its size of the total moment is 0.00 Bohr magnetons per cell.

***

# 3
Entry from the Materials Project: a geometry-optimized Na4As2O7 structure (PBE).

```
data_Na4As2O7
_chemical_formula_sum 'Na16 As8 O28'
_cell_length_a 6.055
_cell_length_b 10.287
_cell_length_c 12.528
_cell_angle_alpha 90.00
_cell_angle_beta 92.74
_cell_angle_gamma 90.00
_symmetry_space_group_name_H-M 'C 1 2/c 1'
_symmetry_Int_Tables_number 15
loop_
_symmetry_equiv_pos_as_xyz
'x,y,z'
'-x,-y,-z'
'-x,y,-z+1/2'
'x,-y,z+1/2'
'x+1/2,y+1/2,z'
'-x+1/2,-y+1/2,-z'
'-x+1/2,y+1/2,-z+1/2'
'x+1/2,-y+1/2,z+1/2'
loop_
_atom_site_label
_atom_site_fract_x
_atom_site_fract_y
_atom_site_fract_z
Na1 0.157 0.178 0.372
Na2 0.191 0.486 0.905
As1 0.144 0.152 0.861
O1 0.000 0.066 0.750
O2 0.066 0.178 0.556
O3 0.178 0.465 0.094
O4 0.233 0.212 0.186
```

Results
The value obtained for the volume is 15.0 Å³/atom.

***

# 4
Entry from the Materials Project: a geometry-optimized LiTiSiO4 structure (PBE).

```
data_LiTiSiO4
_chemical_formula_sum 'Li4 Ti4 Si4 O16'
_cell_length_a 5.679
_cell_length_b 5.801
_cell_length_c 8.075
_cell_angle_alpha 90.00
_cell_angle_beta 90.00
_cell_angle_gamma 90.00
_symmetry_space_group_name_H-M 'I m m a'
_symmetry_Int_Tables_number 74
_symmetry_space_group_name_Hall '-I 2b 2'
loop_
_atom_site_label
_atom_site_fract_x
_atom_site_fract_y
_atom_site_fract_z
Li1 0.000 0.000 0.000
Ti1 0.250 0.250 0.250
Si1 0.000 0.250 0.616
O1 0.000 0.016 0.738
O2 0.237 0.250 0.497
```

Results
The value obtained for the volume is 9.5 Å³/atom. The relative energy among the computed polymorphs is 1.0 kJ/mol of atoms. Its size of the total moment is 0.40 Bohr magnetons per cell.

***

# 5
>>>
For school leaders, this is gold plated guidance that will help to plan and also judge the quality of CPDL (Continuing Professional Development and Learning) and make it easier to say ‘yes, you can go because I know what the impact will be on you and your colleagues and that it is relevant to improving the outcomes of pupils in our school.’ As an assistant headteacher leading CPD across the school, I often asked myself a series of questions to assess the quality of CPD that I was considering;
- Will this CPD have a clear focus on improving pupil outcomes through better teaching and learning?
- Will it provide us with new relevant learning, current ideas and is underpinned by research and evidence?
- Will it challenge staff to reflect upon and develop their own subject specific knowledge?
- Is there support to embed and sustain the new learning, subject knowledge, ideas, and practicals?
- What will the impact be on the individual teacher, their colleagues, and pupils and across the school?
You've probably guessed already that I am a Biologist and a true advocate of the absolute necessity for subject specific CPD, particularly in STEM subjects in a rapidly changing and ever exciting climate. How else are we to keep abreast of the varied applications of cutting edge science, research and evidence that we can use to great effect to inspire and enthuse our pupils in the classroom? That sequence of genomics lessons may be the only experience and that your students get of that subject and the influence and power you have to inspire or switch them off is mind blowing.
We all need the support, investment and recognition from senior leaders in providing those frequent opportunities for effective CPD to bring our subject alive and the Standards for Teachers Professional Development go a long way in providing the guidance to do this.